[Exercise]
Your job: reproduce all of the calculation results further down verbatim.

[Material]
/*
Entry 1:
C25H24B2BrF4FeN8O4Se as an isolated structure, computed with ωB97M-V/def2-TZVPD.

Values from the calculation:
Relative energy (zero: lowest compared OMol25 entry of this formula, charge and spin): 0.000 eV
Orbital gap (spin up / spin down): 0.24442 / 0.24877 Ha
HOMO energy (spin up / spin down): -0.2945 / -0.2989 Ha
E_tot: -228427.4281 eV
Multiplicity: 2

Geometry (Å):
Br 1.417 6.553 -0.305
Se 0.044 -4.081 -3.276
Fe 0.131 -0.016 -0.074
F 2.554 -1.872 -3.073
F -2.484 -0.851 2.852
F -2.769 1.446 2.845
F 3.356 0.241 -2.629
O -0.655 0.612 2.609
O -2.594 0.292 0.832
O 1.077 -0.052 -2.772
O 2.578 -1.126 -0.886
N 1.947 -0.390 0.016
N -1.744 0.333 -0.202
N -0.225 -2.657 -2.275
N -0.264 -2.166 0.043
N 0.213 -5.194 -1.914
N 0.009 0.018 -1.966
N 0.293 0.005 1.844
N 0.462 2.006 -0.200
C 3.799 -1.023 1.604
C -0.329 -2.729 1.220
C 1.010 4.713 -0.286
C 2.921 3.003 1.953
C -0.178 -4.119 1.494
C 2.019 2.125 2.561
C 1.203 2.588 3.603
C 1.931 0.757 2.123
C 1.784 3.826 -1.010
C -0.140 -3.040 -1.023
C 2.177 4.781 3.389
C -1.394 0.548 -3.896
C 0.082 -4.464 -0.826
C -3.636 0.609 -1.745
C 1.412 -0.500 2.543
C -1.135 0.349 -2.442
C 1.481 2.479 -0.928
C 3.009 4.317 2.377
C 0.075 -4.989 0.493
C 1.486 -1.350 3.767
C -0.053 4.245 0.462
C 1.277 3.916 3.995
C -0.298 2.883 0.464
C -2.192 0.448 -1.404
C 2.459 -0.382 1.363
B -2.133 0.364 2.275
B 2.382 -0.710 -2.357
H -0.523 -2.073 2.055
H -1.647 -0.408 -4.362
H -3.968 -0.208 -2.388
H -2.221 1.236 -4.062
H -4.233 0.617 -0.839
H 2.238 5.813 3.708
H -3.801 1.541 -2.289
H 0.664 -1.091 4.436
H 2.422 -1.169 4.293
H 3.549 2.643 1.147
H 3.704 -2.108 1.567
H 2.618 4.160 -1.609
H 2.074 1.756 -1.471
H 0.631 4.274 4.786
H 4.209 -0.733 2.571
H -0.498 0.926 -4.384
H 1.423 -2.412 3.527
H 4.499 -0.720 0.826
H 0.507 1.914 4.075
H -1.119 2.486 1.045
H 0.234 -6.048 0.647
H -0.678 4.910 1.039
H 3.715 4.989 1.906
H -0.250 -4.436 2.526

Entry 2:
C25H24BClF4N3O10V as an isolated structure, computed with ωB97M-V/def2-TZVPD.

Values from the calculation:
Charge: -1
Relative energy (zero: lowest compared OMol25 entry of this formula, charge and spin): 0.000 eV
Orbital gap (spin up / spin down): 0.23181 / 0.23786 Ha
HOMO energy (spin up / spin down): -0.1456 / -0.1517 Ha
E_tot: -101015.6236 eV
Multiplicity: 4

Geometry (Å):
V -0.023 0.313 -0.043
Cl -0.318 -2.246 2.367
F -1.468 -1.015 -1.363
F -6.550 -0.406 0.441
F -4.730 1.351 1.192
F -3.354 -2.780 -2.081
O 1.402 -2.581 -1.379
O 2.572 -2.700 0.602
O 3.961 -0.236 -1.542
O -1.983 3.560 -2.109
O 2.025 -0.494 -0.279
O -0.380 -3.645 2.094
O -0.227 -1.551 1.051
O -2.083 1.443 -2.761
O -1.500 -1.785 3.027
O 0.855 -1.918 3.123
N 0.332 1.882 1.529
N -1.950 1.030 0.265
N 0.652 1.355 -1.809
C 2.667 0.169 -1.349
C 0.033 1.182 2.804
C 2.096 2.951 -3.631
C 2.271 -3.971 0.171
C 2.128 -6.319 0.116
C 2.016 1.105 -2.059
C 2.567 -5.169 0.772
C 1.666 2.512 1.627
C 0.731 3.243 -3.327
C -2.750 -0.872 -0.870
C -5.015 -1.654 -0.832
C -1.406 2.541 -2.377
C 1.424 -6.249 -1.080
C 1.125 -5.024 -1.677
C 1.567 -3.900 -1.023
C 2.046 3.448 0.491
C -3.704 -1.772 -1.260
C 0.091 2.396 -2.471
C 2.713 1.902 -3.058
C -2.987 0.238 -0.026
C -4.337 0.337 0.384
C -2.094 2.211 1.094
C -0.225 2.055 4.029
C -0.721 2.865 1.184
C -5.290 -0.577 -0.009
B 1.984 -1.879 -0.336
H -1.463 0.699 -2.805
H -5.775 -2.363 -1.118
H -0.733 3.696 1.903
H -2.474 1.975 2.095
H 1.734 3.074 2.566
H 2.628 3.560 -4.353
H -0.405 1.393 4.877
H 0.867 0.507 2.996
H 3.090 -5.208 1.717
H 3.087 3.749 0.624
H 0.618 2.697 4.287
H 3.736 1.642 -3.290
H 1.953 2.975 -0.481
H -2.779 2.947 0.659
H 2.386 1.692 1.692
H -1.110 2.681 3.909
H -0.477 3.280 0.207
H 0.563 -4.951 -2.597
H -0.838 0.550 2.639
H 1.442 4.355 0.491
H 4.513 0.108 -0.827
H 1.089 -7.162 -1.554
H 2.329 -7.287 0.557
H 0.188 4.043 -3.805

Entry 3:
C25H24F3N3O6S3 as an isolated structure, computed with ωB97M-V/def2-TZVPD.

Values from the calculation:
Orbital gap: 0.29335 Ha
HOMO energy: -0.2875 Ha
E_tot: -83722.0408 eV

Geometry (Å):
S 1.143 -0.662 -1.835
S 1.992 -0.178 -4.346
*/

[Outcome]
Entry 1:
C25H24B2BrF4FeN8O4Se as an isolated structure, computed with ωB97M-V/def2-TZVPD.

Values from the calculation:
Relative energy (zero: lowest compared OMol25 entry of this formula, charge and spin): 0.000 eV
Orbital gap (spin up / spin down): 0.24442 / 0.24877 Ha
HOMO energy (spin up / spin down): -0.2945 / -0.2989 Ha
E_tot: -228427.4281 eV
Multiplicity: 2

Geometry (Å):
Br 1.417 6.553 -0.305
Se 0.044 -4.081 -3.276
Fe 0.131 -0.016 -0.074
F 2.554 -1.872 -3.073
F -2.484 -0.851 2.852
F -2.769 1.446 2.845
F 3.356 0.241 -2.629
O -0.655 0.612 2.609
O -2.594 0.292 0.832
O 1.077 -0.052 -2.772
O 2.578 -1.126 -0.886
N 1.947 -0.390 0.016
N -1.744 0.333 -0.202
N -0.225 -2.657 -2.275
N -0.264 -2.166 0.043
N 0.213 -5.194 -1.914
N 0.009 0.018 -1.966
N 0.293 0.005 1.844
N 0.462 2.006 -0.200
C 3.799 -1.023 1.604
C -0.329 -2.729 1.220
C 1.010 4.713 -0.286
C 2.921 3.003 1.953
C -0.178 -4.119 1.494
C 2.019 2.125 2.561
C 1.203 2.588 3.603
C 1.931 0.757 2.123
C 1.784 3.826 -1.010
C -0.140 -3.040 -1.023
C 2.177 4.781 3.389
C -1.394 0.548 -3.896
C 0.082 -4.464 -0.826
C -3.636 0.609 -1.745
C 1.412 -0.500 2.543
C -1.135 0.349 -2.442
C 1.481 2.479 -0.928
C 3.009 4.317 2.377
C 0.075 -4.989 0.493
C 1.486 -1.350 3.767
C -0.053 4.245 0.462
C 1.277 3.916 3.995
C -0.298 2.883 0.464
C -2.192 0.448 -1.404
C 2.459 -0.382 1.363
B -2.133 0.364 2.275
B 2.382 -0.710 -2.357
H -0.523 -2.073 2.055
H -1.647 -0.408 -4.362
H -3.968 -0.208 -2.388
H -2.221 1.236 -4.062
H -4.233 0.617 -0.839
H 2.238 5.813 3.708
H -3.801 1.541 -2.289
H 0.664 -1.091 4.436
H 2.422 -1.169 4.293
H 3.549 2.643 1.147
H 3.704 -2.108 1.567
H 2.618 4.160 -1.609
H 2.074 1.756 -1.471
H 0.631 4.274 4.786
H 4.209 -0.733 2.571
H -0.498 0.926 -4.384
H 1.423 -2.412 3.527
H 4.499 -0.720 0.826
H 0.507 1.914 4.075
H -1.119 2.486 1.045
H 0.234 -6.048 0.647
H -0.678 4.910 1.039
H 3.715 4.989 1.906
H -0.250 -4.436 2.526

Entry 2:
C25H24BClF4N3O10V as an isolated structure, computed with ωB97M-V/def2-TZVPD.

Values from the calculation:
Charge: -1
Relative energy (zero: lowest compared OMol25 entry of this formula, charge and spin): 0.000 eV
Orbital gap (spin up / spin down): 0.23181 / 0.23786 Ha
HOMO energy (spin up / spin down): -0.1456 / -0.1517 Ha
E_tot: -101015.6236 eV
Multiplicity: 4

Geometry (Å):
V -0.023 0.313 -0.043
Cl -0.318 -2.246 2.367
F -1.468 -1.015 -1.363
F -6.550 -0.406 0.441
F -4.730 1.351 1.192
F -3.354 -2.780 -2.081
O 1.402 -2.581 -1.379
O 2.572 -2.700 0.602
O 3.961 -0.236 -1.542
O -1.983 3.560 -2.109
O 2.025 -0.494 -0.279
O -0.380 -3.645 2.094
O -0.227 -1.551 1.051
O -2.083 1.443 -2.761
O -1.500 -1.785 3.027
O 0.855 -1.918 3.123
N 0.332 1.882 1.529
N -1.950 1.030 0.265
N 0.652 1.355 -1.809
C 2.667 0.169 -1.349
C 0.033 1.182 2.804
C 2.096 2.951 -3.631
C 2.271 -3.971 0.171
C 2.128 -6.319 0.116
C 2.016 1.105 -2.059
C 2.567 -5.169 0.772
C 1.666 2.512 1.627
C 0.731 3.243 -3.327
C -2.750 -0.872 -0.870
C -5.015 -1.654 -0.832
C -1.406 2.541 -2.377
C 1.424 -6.249 -1.080
C 1.125 -5.024 -1.677
C 1.567 -3.900 -1.023
C 2.046 3.448 0.491
C -3.704 -1.772 -1.260
C 0.091 2.396 -2.471
C 2.713 1.902 -3.058
C -2.987 0.238 -0.026
C -4.337 0.337 0.384
C -2.094 2.211 1.094
C -0.225 2.055 4.029
C -0.721 2.865 1.184
C -5.290 -0.577 -0.009
B 1.984 -1.879 -0.336
H -1.463 0.699 -2.805
H -5.775 -2.363 -1.118
H -0.733 3.696 1.903
H -2.474 1.975 2.095
H 1.734 3.074 2.566
H 2.628 3.560 -4.353
H -0.405 1.393 4.877
H 0.867 0.507 2.996
H 3.090 -5.208 1.717
H 3.087 3.749 0.624
H 0.618 2.697 4.287
H 3.736 1.642 -3.290
H 1.953 2.975 -0.481
H -2.779 2.947 0.659
H 2.386 1.692 1.692
H -1.110 2.681 3.909
H -0.477 3.280 0.207
H 0.563 -4.951 -2.597
H -0.838 0.550 2.639
H 1.442 4.355 0.491
H 4.513 0.108 -0.827
H 1.089 -7.162 -1.554
H 2.329 -7.287 0.557
H 0.188 4.043 -3.805

Entry 3:
C25H24F3N3O6S3 as an isolated structure, computed with ωB97M-V/def2-TZVPD.

Values from the calculation:
Orbital gap: 0.29335 Ha
HOMO energy: -0.2875 Ha
E_tot: -83722.0408 eV

Geometry (Å):
S 1.143 -0.662 -1.835
S 1.992 -0.178 -4.346